Work order:
What is needed: start at the top of the material underneath and print each line, ending with the one that has "1.771".

Entries:
## A
Here is a 14-piece molecular cluster, H27O14 overall from the OMol25 dataset. Energies are from ωB97M-V/def2-TZVPD.

Each line ends with the Löwdin charge.
Atoms and positions in Å:
O -0.987 -0.161 -0.560  -0.193
H -0.648 -0.763 0.308  0.021
O -1.198 0.363 4.080  -0.074
H -0.711 0.745 -0.392  0.019
H -0.016 -0.258 -2.014  -0.006
O -3.554 -2.454 0.096  -0.074
H 1.071 -0.189 -3.214  0.022
H 1.367 1.863 -1.681  0.042
O 1.466 1.990 -2.634  -0.038
H -2.628 1.424 -0.275  -0.005
H 1.860 2.862 -2.708  0.020
O -3.048 2.286 -0.396  -0.063
H 1.307 4.162 -1.865  -0.009
H -1.038 -0.587 4.229  0.036
O 1.854 1.135 1.418  -0.133
H 0.877 -1.513 0.863  -0.013
H 2.984 -0.014 3.004  0.006
O 1.689 5.015 -1.641  -0.051
H 1.728 2.985 1.709  0.021
H 2.319 0.720 0.673  0.058
O 0.666 -0.738 -2.537  -0.089
H -3.054 -2.545 -0.735  -0.005
H -0.862 -2.714 -3.642  -0.010
O 2.508 3.603 1.683  -0.117
H 3.144 2.905 1.886  0.010
H -3.216 -1.744 0.647  0.016
O -1.915 -2.140 -2.176  -0.072
H -2.334 -1.303 -1.972  0.040
H -0.961 -2.117 -2.003  0.031
O 2.872 -0.861 3.453  -0.070
H 1.232 5.313 -0.845  0.047
H 0.680 -2.958 -4.043  0.017
O 0.249 -0.977 1.365  -0.331
H -0.009 -3.349 1.326  0.003
H 1.933 -0.876 3.664  0.021
O -0.144 -3.340 -3.758  -0.068
H -3.298 2.264 -1.324  0.031
H 1.309 0.285 1.577  0.006
O -0.631 -3.909 1.814  -0.084
H -1.266 0.343 3.114  0.018
H -1.192 -3.167 2.107  0.021

The value obtained for the HOMO energy is -6.87 eV. As for the charge: -1.



## B
Here is a 14-piece molecular cluster, H27O14 overall from the OMol25 dataset. Energies are from ωB97M-V/def2-TZVPD.

Each line ends with the Löwdin charge.
Atoms and positions in Å:
O 0.557 3.528 3.591  -0.063
H 0.498 3.520 2.640  0.019
O 0.709 0.354 4.355  -0.054
H -0.220 0.357 4.106  0.039
H -2.972 2.214 0.177  0.024
O -3.780 -3.546 -1.311  -0.053
H -1.926 0.928 0.409  -0.008
H 2.511 -1.333 -3.109  0.010
O 2.915 -1.880 -2.402  -0.077
H -1.915 -0.685 1.914  -0.019
H 2.548 -2.753 -2.596  0.028
O 0.851 -0.014 -3.077  -0.055
H 0.027 2.163 -0.159  -0.012
H 1.523 0.616 -3.346  0.023
O -1.086 3.465 -2.366  -0.068
H -0.278 3.201 -2.833  0.000
H -1.550 2.642 -2.180  0.020
O 3.177 0.674 2.744  -0.077
H 2.823 0.313 1.919  0.017
H 3.514 -0.184 3.053  0.047
O -2.140 1.884 0.487  -0.078
H -3.534 -2.917 -1.987  0.028
H 0.369 0.493 -2.413  0.034
O -0.932 -0.469 0.518  -0.367
H -0.370 -0.874 -0.153  -0.011
H -3.038 -3.856 -0.787  0.010
O -0.578 -4.662 -0.391  -0.061
H -0.904 -4.350 -1.246  0.025
H -0.182 -3.832 -0.072  0.042
O 0.679 2.328 -4.491  -0.046
H 1.078 1.469 -4.551  0.003
H -0.143 2.302 -4.997  0.064
O 0.481 1.313 -0.087  -0.193
H -0.350 0.791 0.396  -0.023
H 0.763 2.632 3.882  0.002
O 1.461 -1.133 1.653  -0.075
H 0.953 -1.360 2.445  0.036
H 0.887 -0.595 1.090  -0.006
O -2.172 -1.114 2.763  -0.103
H 1.405 0.296 3.720  -0.034
H -1.659 -1.926 2.692  0.013

The value obtained for the HOMO energy is -6.16 eV. As for the charge: -1.



## C
Here is a 14-piece molecular cluster, H27O14 overall from the OMol25 dataset. Energies are from ωB97M-V/def2-TZVPD.

Each line ends with the Löwdin charge.
Atoms and positions in Å:
O 1.386 4.424 -2.700  -0.136
H 0.961 4.017 -3.498  0.026
O 1.506 2.417 -1.006  -0.114
H -1.566 0.769 -3.574  0.097
H 0.409 2.921 1.843  0.032
O 3.007 -1.442 1.771  0.010
H -0.655 2.790 2.666  -0.008
H 0.108 0.402 2.657  -0.002
O 0.016 0.480 3.647  -0.093
H 0.557 -0.872 0.379  0.016
H 0.921 0.416 3.997  0.044
O 0.192 -2.451 -1.839  -0.040
H 1.351 3.730 -1.977  -0.019
H 0.581 2.177 -0.783  0.036
O -2.789 0.124 -1.134  -0.199
H -0.235 -1.625 -1.870  -0.010
H 0.815 1.028 -3.807  0.055
O 0.501 -0.510 1.229  -0.059
H -0.338 -0.179 1.177  -0.103
H -2.048 0.589 -0.599  -0.023
O -0.060 3.513 2.472  -0.082
H 2.337 -2.027 1.649  -0.059
H -0.481 -3.161 -1.908  0.062
O -0.756 -3.634 3.744  -0.057
H -0.197 -2.921 4.004  0.008
H 2.754 -0.728 1.239  0.004
O 1.597 -4.430 0.533  0.012
H 1.159 -4.765 -0.154  -0.049
H 1.691 -3.480 0.619  0.017
O 1.517 1.600 -3.342  -0.059
H -3.088 -0.323 -0.289  -0.038

Worked solution:
## A
Here is a 14-piece molecular cluster, H27O14 overall from the OMol25 dataset. Energies are from ωB97M-V/def2-TZVPD.

Each line ends with the Löwdin charge.
Atoms and positions in Å:
O -0.987 -0.161 -0.560  -0.193
H -0.648 -0.763 0.308  0.021
O -1.198 0.363 4.080  -0.074
H -0.711 0.745 -0.392  0.019
H -0.016 -0.258 -2.014  -0.006
O -3.554 -2.454 0.096  -0.074
H 1.071 -0.189 -3.214  0.022
H 1.367 1.863 -1.681  0.042
O 1.466 1.990 -2.634  -0.038
H -2.628 1.424 -0.275  -0.005
H 1.860 2.862 -2.708  0.020
O -3.048 2.286 -0.396  -0.063
H 1.307 4.162 -1.865  -0.009
H -1.038 -0.587 4.229  0.036
O 1.854 1.135 1.418  -0.133
H 0.877 -1.513 0.863  -0.013
H 2.984 -0.014 3.004  0.006
O 1.689 5.015 -1.641  -0.051
H 1.728 2.985 1.709  0.021
H 2.319 0.720 0.673  0.058
O 0.666 -0.738 -2.537  -0.089
H -3.054 -2.545 -0.735  -0.005
H -0.862 -2.714 -3.642  -0.010
O 2.508 3.603 1.683  -0.117
H 3.144 2.905 1.886  0.010
H -3.216 -1.744 0.647  0.016
O -1.915 -2.140 -2.176  -0.072
H -2.334 -1.303 -1.972  0.040
H -0.961 -2.117 -2.003  0.031
O 2.872 -0.861 3.453  -0.070
H 1.232 5.313 -0.845  0.047
H 0.680 -2.958 -4.043  0.017
O 0.249 -0.977 1.365  -0.331
H -0.009 -3.349 1.326  0.003
H 1.933 -0.876 3.664  0.021
O -0.144 -3.340 -3.758  -0.068
H -3.298 2.264 -1.324  0.031
H 1.309 0.285 1.577  0.006
O -0.631 -3.909 1.814  -0.084
H -1.266 0.343 3.114  0.018
H -1.192 -3.167 2.107  0.021

The value obtained for the HOMO energy is -6.87 eV. As for the charge: -1.



## B
Here is a 14-piece molecular cluster, H27O14 overall from the OMol25 dataset. Energies are from ωB97M-V/def2-TZVPD.

Each line ends with the Löwdin charge.
Atoms and positions in Å:
O 0.557 3.528 3.591  -0.063
H 0.498 3.520 2.640  0.019
O 0.709 0.354 4.355  -0.054
H -0.220 0.357 4.106  0.039
H -2.972 2.214 0.177  0.024
O -3.780 -3.546 -1.311  -0.053
H -1.926 0.928 0.409  -0.008
H 2.511 -1.333 -3.109  0.010
O 2.915 -1.880 -2.402  -0.077
H -1.915 -0.685 1.914  -0.019
H 2.548 -2.753 -2.596  0.028
O 0.851 -0.014 -3.077  -0.055
H 0.027 2.163 -0.159  -0.012
H 1.523 0.616 -3.346  0.023
O -1.086 3.465 -2.366  -0.068
H -0.278 3.201 -2.833  0.000
H -1.550 2.642 -2.180  0.020
O 3.177 0.674 2.744  -0.077
H 2.823 0.313 1.919  0.017
H 3.514 -0.184 3.053  0.047
O -2.140 1.884 0.487  -0.078
H -3.534 -2.917 -1.987  0.028
H 0.369 0.493 -2.413  0.034
O -0.932 -0.469 0.518  -0.367
H -0.370 -0.874 -0.153  -0.011
H -3.038 -3.856 -0.787  0.010
O -0.578 -4.662 -0.391  -0.061
H -0.904 -4.350 -1.246  0.025
H -0.182 -3.832 -0.072  0.042
O 0.679 2.328 -4.491  -0.046
H 1.078 1.469 -4.551  0.003
H -0.143 2.302 -4.997  0.064
O 0.481 1.313 -0.087  -0.193
H -0.350 0.791 0.396  -0.023
H 0.763 2.632 3.882  0.002
O 1.461 -1.133 1.653  -0.075
H 0.953 -1.360 2.445  0.036
H 0.887 -0.595 1.090  -0.006
O -2.172 -1.114 2.763  -0.103
H 1.405 0.296 3.720  -0.034
H -1.659 -1.926 2.692  0.013

The value obtained for the HOMO energy is -6.16 eV. As for the charge: -1.



## C
Here is a 14-piece molecular cluster, H27O14 overall from the OMol25 dataset. Energies are from ωB97M-V/def2-TZVPD.

Each line ends with the Löwdin charge.
Atoms and positions in Å:
O 1.386 4.424 -2.700  -0.136
H 0.961 4.017 -3.498  0.026
O 1.506 2.417 -1.006  -0.114
H -1.566 0.769 -3.574  0.097
H 0.409 2.921 1.843  0.032
O 3.007 -1.442 1.771  0.010